Government Recognizes Biodynamics (story
1, 2)
3. Sludge to Fertile Soil: Genetic Engineering
versus Stellar Enhanced (Biodynamics)
by L.A. Rotheraine
This article originally appeared in
"For years we've been saying the older we get,
the less we understand. Rotheraine's explanations for what
we are looking at when we see his giant tomato plant (Selke
BD Cherry Tomato) is an example of this. The explanation may
not be to our liking, but regular agricultural science does
not have any other explanation for why the plant becomes so
large despite the genetic limitations that normally are attributed
~~~
The following is a DFT calculation (the ωB97M-V functional and the def2-TZVPD basis) of a single C13H21N3O2S molecule in a non-equilibrium geometry.

SMILES: CCOCCCN1CN(Cc2ccco2)CNC1=S
multiplicity: 1
calculated total energy: -1220.36835 a.u.

The geometry in XYZ format:
```
40
Properties=species:S:1:pos:R:3:lowdin_charge:R:1
C -1.292 -3.628 0.661 -0.01
C 0.284 -3.387 0.850 -0.10
O 0.804 -2.461 -0.192 -0.14
C 2.053 -2.239 -0.009 -0.35
C 2.473 -1.492 -1.287 -0.01
C 1.476 -0.117 -1.486 -0.08
N 1.320 0.749 -0.306 -0.11
C 0.252 0.543 0.585 -0.10
N -0.236 1.918 1.190 -0.10
C -0.930 2.548 0.162 -0.18
C -1.972 1.983 -0.525 -0.26
C -2.286 1.226 -1.503 -0.15
C -3.630 0.681 -1.677 0.03
C -4.226 1.214 -0.253 0.01
O -3.212 1.953 0.333 -0.03
C 0.816 2.359 1.717 -0.44
N 1.957 2.760 1.059 0.07
C 2.267 1.703 -0.034 -0.66
S 3.521 2.170 -1.078 0.59
H -1.888 -2.666 0.837 0.09
H -1.778 -4.232 1.358 0.04
H -1.575 -3.971 -0.300 0.05
H 0.725 -4.127 0.918 0.00
H 0.285 -2.881 1.661 0.05
H 2.598 -3.243 0.031 0.15
H 2.092 -1.750 0.983 0.12
H 2.425 -1.988 -2.002 -0.02
H 3.360 -1.066 -0.758 0.12
H 0.474 -0.547 -1.735 0.12
H 1.910 0.501 -2.176 0.03
H -0.592 -0.045 0.340 0.10
H 0.619 -0.153 1.660 0.20
H -1.214 3.361 0.520 0.06
H -0.165 2.979 -0.779 0.23
H -1.455 1.065 -2.414 0.18
H -4.073 0.266 -2.576 0.07
H -5.137 1.039 0.211 0.07
H 0.397 3.531 2.148 0.19
H 1.018 1.998 2.861 0.17
H 2.535 3.446 1.005 0.01
```

The following is a DFT calculation (the ωB97M-V functional and the def2-TZVPD basis) of an isolated ion of composition C5H13N2 and charge +1 in a non-equilibrium geometry.

SMILES: CC1(C)[C@@H](N)[C@@H]1[NH3+]
multiplicity: 1
calculated total energy: -307.54321 a.u.
charge: +1

The geometry in XYZ format:
```
20
Properties=species:S:1:pos:R:3:lowdin_charge:R:1
C 0.310 1.716 0.835 -0.03
C -0.143 0.553 -0.006 -0.39
C -1.303 0.830 -0.930 -0.04
C 0.960 -0.545 -0.533 -0.24
N 2.338 -0.515 -0.277 0.07
C -0.011 -0.843 0.581 -0.19
N -1.100 -1.826 0.330 0.24
H -0.541 2.170 1.339 0.09
H 0.771 2.474 0.207 0.10
H 1.031 1.415 1.592 0.08
H -2.254 0.806 -0.397 0.09
H -1.339 0.142 -1.776 0.08
H -1.193 1.831 -1.342 0.10
H 0.715 -0.954 -1.505 0.15
H 2.581 -0.014 0.567 0.09
H 2.873 -0.146 -1.053 0.10
H 0.397 -0.948 1.579 0.16
H -0.720 -2.754 0.098 0.19
H -1.661 -1.476 -0.462 0.15
H -1.710 -1.916 1.152 0.18
```

The following is a DFT calculation (the ωB97M-V functional and the def2-TZVPD basis) of C16H18BrCl2SeV as an isolated structure in a non-equilibrium geometry.

multiplicity: 1
calculated total energy: -7460.24302 a.u.
charge: -2

The geometry in XYZ format:
```
39
Properties=species:S:1:pos:R:3:lowdin_charge:R:1
V -0.027 -0.671 1.298 -0.24
Cl -2.295 -1.500 1.200 -0.11
C -0.323 -4.177 2.971 -0.55
Cl 0.347 -2.400 3.165 0.24
H 0.190 -4.451 2.033 -0.13
H -1.354 -3.946 2.672 -0.14
Br -1.463 1.094 3.344 0.75
C -1.605 2.479 2.059 -0.58
C -2.023 3.686 2.538 -0.17
C -2.255 4.759 1.648 -0.12
C -2.092 4.566 0.313 -0.08
C -1.663 3.312 -0.203 -0.18
C -1.546 3.133 -1.604 -0.09
~~~
to it"
Grant Nichols, Bradford Journal, February,
microcosmic (earthly) life is but a result of heavenly (macrocosmic)
activity. This concept, once known, has been forgotten in
our times. The invention of the microscope and the subsequent
discovery of microorganisms were primary elements in leading
us to a one-sided view of life. This trend of thinking, focusing
on the smallest particle, pervades all the scientific disciplines
of the twentieth-century. It dominates agricultural concepts.
This belief that dead, inorganic chemicals have the same nutritional
content when added to the soil as organic matter stems from
this type of thinking.
Much as a photographer captures an
image on film, we capture plant images from the heavens in
raw organic matter.
The addiction to microcosmic thought
has reached a certain extreme in genetic engineering of tomato
Here the piece breaks off for data records:
- - -
No. 1
C45H49AsN8OV | wB97M-V/def2-TZVPD

Calculated values
Relative energy (zero: lowest compared OMol25 entry of this formula, charge and spin), kJ/mol: 62.4
Lowest unoccupied orbital energy (spin up / spin down), eV: -9.12 / -8.51
⟨S²⟩: 2.017
Kohn-Sham gap (spin up / spin down), Ha: 0.1575 / 0.1796

```
! wB97M-V def2-TZVPD RIJCOSX def2/J DEFGRID3
* xyz 3 3
As -1.29 0.78 -3.04
V 0.11 -0.15 0.19
O 5.00 -12.13 1.24
N 2.07 -6.49 1.50
N -1.36 1.24 1.16
N 0.86 1.74 -0.33
N 1.41 -1.50 -0.75
N 1.43 0.05 1.88
N 3.39 -6.01 -0.23
N -1.60 -1.04 -0.42
N -0.11 -2.11 1.39
C 1.84 -5.22 1.10
C -3.03 -0.08 -3.43
C -3.94 -2.53 -0.35
C 3.10 -9.15 1.79
C -1.69 2.45 -4.06
C -1.52 1.05 2.62
C 6.00 -12.70 0.41
C 3.05 -2.08 -2.40
C 1.45 -0.55 4.19
C 0.05 2.80 -0.14
C 0.89 0.13 3.12
C 1.42 4.20 -1.52
C -0.22 1.13 3.40
C -0.93 -2.43 2.37
C 3.01 -6.97 0.69
C 2.31 3.14 -1.63
C -4.27 0.70 -2.98
C 1.61 -2.71 -0.15
C 2.66 -4.89 0.01
C 0.28 4.03 -0.75
C 1.98 1.94 -1.04
C 3.25 -1.23 2.79
C -2.80 -3.04 -0.96
C -0.29 -0.12 -4.50
C -0.48 3.21 -4.59
C -1.02 2.66 0.89
C -3.90 -1.25 0.18
C 4.49 -8.80 -0.14
C -0.90 -3.65 3.05
C 3.60 -10.42 1.93
C 0.90 -4.29 1.61
C 2.08 -1.23 -1.86
C 2.62 -0.56 1.76
C 5.00 -10.07 -0.02
C -2.64 0.92 0.48
C 0.04 -4.59 2.68
C 2.56 -3.64 -0.65
C -0.27 -1.64 -4.44
C 0.80 -3.03 0.99
C 3.54 -8.31 0.76
C 3.31 -3.28 -1.79
C -1.66 -2.27 -0.97
C 2.61 -1.28 4.02
C 4.57 -10.90 1.03
C -2.73 -0.53 0.11
H -0.42 4.84 -0.60
H -2.80 -4.01 -1.42
H -1.68 -1.71 2.65
H 1.61 5.14 -2.01
H 5.72 -10.44 -0.74
H 6.92 -12.11 0.44
H 0.16 3.56 -3.78
H 3.57 -1.79 -3.30
H -4.85 -3.12 -0.29
H -0.48 1.04 4.45
H 0.19 -2.04 -5.33
H 6.19 -13.69 0.81
H -2.18 1.84 3.01
H -0.79 0.20 -5.42
H -3.50 1.24 1.07
H 0.98 -0.49 5.17
H -2.02 0.10 2.80
H 4.83 -8.19 -0.98
H 2.67 1.11 -1.10
H 0.29 -2.01 -3.58
H -1.28 -2.05 -4.38
H -2.31 3.10 -3.43
H -3.06 -0.20 -4.51
H -0.76 -2.64 -1.44
H 4.11 -6.13 -0.92
H 4.05 -3.96 -2.18
H 3.27 -11.08 2.72
H -1.60 -3.84 3.84
H 1.85 -0.30 -2.37
H -2.66 1.46 -0.47
H 3.04 -1.84 4.85
H 3.10 -0.49 0.80
H 0.11 2.59 -5.26
H 3.24 3.24 -2.17
H -4.27 1.70 -3.41
H 0.12 -5.56 3.15
H -1.91 3.24 0.64
H 0.72 0.29 -4.53
H -4.79 -0.81 0.62
H 2.35 -8.78 2.48
H -3.03 -1.08 -3.00
H -0.81 4.08 -5.15
H -4.33 0.79 -1.90
H 0.24 2.11 3.27
H -0.62 3.11 1.80
H 5.66 -12.79 -0.62
H -2.30 2.11 -4.89
H -5.17 0.20 -3.33
H 4.21 -1.69 2.63
*
```

Löwdin atomic charge list, values in e, 8 entries: As 1.218; V 1.002; O -0.040; N 0.198; N -0.193; N -0.005; N -0.003; N 0.014


No. 2
C45H49BrI2MoP | wB97M-V/def2-TZVPD

Calculated values
Relative energy (zero: lowest compared OMol25 entry of this formula, charge and spin), kJ/mol: 58.0
Lowest unoccupied orbital energy (spin up / spin down), eV: -10.33 / -9.96
⟨S²⟩: 2.097
Kohn-Sham gap (spin up / spin down), Ha: 0.2143 / 0.2293

```
! wB97M-V def2-TZVPD RIJCOSX def2/J DEFGRID3
* xyz 3 3
I 1.55 1.27 -0.40
I 0.16 -2.52 -1.14
Mo -0.56 -0.40 0.48
Br 4.14 3.19 -1.27
P 1.37 -1.36 1.80
C -1.69 -3.33 4.54
C -0.92 -4.11 3.68
C 2.25 -2.67 -1.24
C -1.05 3.79 -0.77
- - -
seeds. Lucille Salitan, an expert in farm and food research
states: "The seeds (genetically engineered tomato seeds)
were treated with mercury to ensure a higher percentage germination
and every year some of this mercury leeches into the soil,
and gets incorporated into the plants... The fields were first
fumigated with methyl bromide, a chemical 100 times more destructive
to the ozone layer than CFC. A chemical fertilizer which destroys
What comes next are molecular data, not part of the entry >
No. 1
Formula: C42H42FHgN6O10S
Source: OMol25
Level of theory: wB97M-V/def2-TZVPD

E_LUMO (alpha / beta)	0.1352 / 0.0657	hartree
molecular weight	1042.49	g mol⁻¹
net charge	-2
<S²>	0.819
energy relative to the best compared isomer or geometry (same formula, charge and spin)	0.1220	eV
HOMO energy (alpha / beta)	-0.7 / -0.7	eV
2S+1	2

Geometry (Å):
1 Hg -0.881 0.265 1.577
2 C -2.435 1.849 -2.364
3 O -3.340 2.907 -2.022
4 C -3.454 3.431 -0.775
5 C -4.261 4.524 -0.645
6 C -4.461 5.154 0.606
7 C -3.832 4.692 1.719
8 C -2.973 3.560 1.667
9 C -2.306 3.216 2.856
10 N -1.465 2.213 3.012
11 N -0.923 2.114 4.202
12 C 0.149 1.260 4.210
13 O 0.744 0.853 3.211
14 C 0.614 0.851 5.565
15 C 1.437 -0.268 5.658
16 C 1.868 -0.706 6.898
17 C 1.487 -0.028 8.048
18 C 0.663 1.086 7.957
19 C 0.220 1.522 6.718
20 C -2.781 2.863 0.396
21 O -2.086 1.836 0.262
22 H -2.525 1.766 -3.446
23 H -2.712 0.904 -1.902
24 H -1.411 2.095 -2.092
25 H -4.742 4.901 -1.538
26 H -5.114 6.016 0.667
27 H -3.973 5.185 2.673
28 H -2.473 3.865 3.716
29 H 1.696 -0.790 4.747
30 H 2.498 -1.583 6.969
31 H 1.824 -0.373 9.018
32 H 0.363 1.613 8.854
33 H -0.429 2.381 6.628
34 F 5.277 2.361 -1.182
35 C 4.515 1.356 -1.687
36 C 3.313 1.114 -1.090
37 C 2.422 0.163 -1.606
38 C 1.123 -0.045 -0.971
39 O 0.826 0.638 0.024
40 C 0.261 -0.999 -1.622
41 C 0.714 -1.633 -2.735
42 N 1.941 -1.480 -3.285
43 C 2.303 -2.208 -4.470
44 C 3.353 -3.271 -4.377
45 C 1.914 -3.648 -4.586
46 C 2.817 -0.538 -2.752
47 C 4.061 -0.297 -3.334
48 C 4.957 0.653 -2.836
49 N 6.166 0.838 -3.467
50 C 6.132 1.050 -4.919
51 C 6.944 0.048 -5.723
52 N 9.320 1.474 -4.263
53 C 8.702 0.893 -3.117
54 C 7.293 1.391 -2.710
55 C -1.154 -1.374 -1.207
56 O -1.918 -1.727 -2.107
57 O -1.447 -1.346 0.026
58 H 3.013 1.683 -0.221
59 H 0.049 -2.318 -3.242
60 H 2.285 -1.612 -5.377
61 H 3.776 -3.447 -3.399
62 H 4.052 -3.364 -5.197
63 H 1.391 -4.098 -3.755
64 H 1.598 -4.000 -5.558
65 H 4.380 -0.878 -4.184
66 H 6.483 2.069 -5.124
67 H 5.086 0.998 -5.228
68 H 6.779 0.221 -6.789
69 H 6.630 -0.973 -5.483
70 H 9.341 2.484 -4.103
71 H 8.006 0.187 -5.486
72 H 9.276 1.021 -2.165
73 H 8.622 -0.197 -3.253
74 H 7.305 2.488 -2.773
75 H 7.120 1.107 -1.669
76 C -7.320 1.208 0.462
77 C -6.643 -0.135 0.495
78 C -5.387 -0.305 -0.081
79 C -4.726 -1.520 -0.018
80 C -5.340 -2.580 0.637
81 C -6.592 -2.439 1.213
82 C -7.241 -1.217 1.132
83 S -4.476 -4.119 0.798
84 O -5.312 -4.996 1.580
85 O -4.021 -4.528 -0.497
86 N -3.158 -3.784 1.704
87 C -3.428 -3.401 3.100
88 C -2.117 -3.215 3.836
89 C -1.322 -2.039 3.281
90 O -0.122 -2.160 3.056
91 O -2.020 -0.998 3.061
92 H -7.074 1.749 -0.450
93 H -6.989 1.822 1.301
94 H -8.404 1.106 0.528
95 H -4.912 0.531 -0.580
96 H -3.749 -1.633 -0.472
97 H -7.037 -3.284 1.718
98 H -8.223 -1.099 1.577
99 H -2.550 -3.123 1.224
100 H -4.013 -4.203 3.548
101 H -4.002 -2.469 3.144
102 H -1.496 -4.108 3.764
103 H -2.336 -3.019 4.889

No. 2
Formula: C8H31NO9
Source: OMol25
Level of theory: wB97M-V/def2-TZVPD

E_LUMO	0.0097	hartree
The molecular data stop here >
millions beneficial microorganisms per square inch was added
to the soil with the seeds, and the boxed tomato was gassed
with ethylene chlorodhydrin (a strong chemical) in order to
turn it red. (From Tomato as an Economic Metaphor,
Mankato State University, MN)
There is an alternative science to
that described above. It is called Biodynamics. We use this
method in our little three-quarter acre mountainside garden
in Bradford, PA the ice box of Pennsylvania - as a part of
our horticultural therapy program. The spectacular size and
quality of the biodynamic vegetables produced over the past
six years has the scientific community and the media watching
very closely. So how do we produce such fine vegetables? How
can anyone do the same thing?
We alter the climate in the garden with
the unorthodox use of the traditional bio-dynamic preparations.
(See chart of BD Preps.)
We use the Pfeiffer Compost Starter as a tonic water. We water
the roots of the plants to fix the nutrients and raise, add
to, and purify the energy for the compost in which our plants
grow. Horn silica is sprayed onto the plants to enhance light
metabolism. This stimulates the photosynthetic formation of
chlorophyll, and thus color, aroma, flavor and shelf life
of the food. In 1993, Hugh Courtney of the Josephine Porter
Institute of Applied Biodynamics, suggested we add the juice
of valerian flowers (BD preparation 507) to our preparation
of horn silica. This we then sprayed onto the plants. He speculated
that this would create an ethereal skin that would contain
the vital energies the biodynamic preparations bring into
our garden. Using this mixture last year, we took 25 ribbons
out of 27 entries (17 blue) at the McKean
County Fair. This year we continued to startle the public
by taking 34 ribbons out of 34 entries 27 first place blue
in major vegetable categories. The Pennsylvania Department
of Agriculture awarded the prize money. They know our science
is special!
The ramification of using new combinations
of biodynamic preparations for the world's food chain and
seed strains is awesome. Fruition is increased beyond normal
capacities of climatic conditions.
Science must relearn what the ancient civilizations
on the planet knew, and our Selke B.D. Cherry Tomato plants
and seeds demonstrate - plants are small models of the stars
and planets. Much as a photographer captures an image on film,
we capture plant images from the heavens in raw organic matter.
Thus, we can say seeds and plants are the energy from the
stars,frozen and molded into earthly substances known to us
as plant life. Our Selke B.D. Cherry Tomato seeds are stellar
enhanced to grow in raw garbage - table scraps built in our
organic hill and thrown on it during the growing season. They
take advantage of this ancient wisdom - are the ancient wisdom
in practice.
Since plants attempt to replicate their heavenly
image, changing the nature of the seed results in an impediment
to such a heavenly replication.
"..If you have apricots or plums with
a fine taste, this taste, just like the color of the flowers,
is a cosmic quality which has been carried right into the
fruit. In the yellow apple, you are eating Jupiter, in the
plum you are actually eating Saturn.." "...thus
we see Mars in the red flower, Jupiter in the yellow or white
flower, Saturn in the blue flower, while in the green leaf
the Sun itself (the planets and sun create the colors and
nutrition of the plants)..."
Steiner's student, Ehrenfried Pfeiffer, a
noted biodynamic scientist made those statements in the preface
of the 1977 edition of Agriculture: "The task was to
reunite the plant, viewed as a system of forces under the
influence of cosmic activities, with nature as a whole. Rudolf
Steiner pointed out that many plants which had been 'violated,'
in the sense of having been estranged from their cosmic origin,
were already so far gone in degeneration that at the end of
the century their propagation would be unreliable."
Twentieth century agricultural science is
based on food grown from genetically altered hybrid seeds,
raised on large doses of chemical fertilizer. Since plants
attempt to replicate their heavenly image, changing the nature
of the seed results in an impediment to such a heavenly replication.
Biodynamic science, the biodynamic preparations, and the Pfeiffer
biodynamic Compost Starter enhance the natural energies. Why
is the entire world not using the biodynamic super science
to produce superior plants, seeds and animals? Biodynamics
eliminates the need for chemical fertilizers or pesticides
and produces the healthiest food possible for animal and human
consumption. It cleans up the soil and garden atmosphere,
creating a healthier climate for all who work in a biodynamic
garden or farm. Most universities are unaware of this science.
Their approach to seed creation still bases itself on an addiction
to microscopic thought. Microscopic thought produces unnutritious
foods that lead one to further addictions in the search for
satisfaction. You can help change this by growing one plant!
The Selke B.D. Cherry Tomato plants and seeds
demonstrate what can be done with plants if the biodynamic
principles in Agriculture are studied and put into practice.
They can grow twelve feet high and produce over 2000 delicious
tomatoes per plant, if our organic hill is used along with
planting and transplanting dates.
Credits: Biodynamics March/April 1995.
Bradford Journal September 1994
L A. Rotheraine is the Master Gardener for
the only government funded Biodynamic garden in the USA: Evergreen
Elm, Bradford, PA. The exclusive distributor of Evergreen
Elms' three biodynamic seed strains - the Selke Biodynamics
Cherry Tomato, the Ratatouille, and Pear-Plum is Highlands
Star Seed. For more information: http://www.rotheraine.com/
Copyright © 2001 L. A. Rotheraine
Reprinted by permission of Lilipoh